Edible flowers expand menu

There is a popular 1950s book and a Doris Day movie titled “Please Don’t Eat the Daisies.” Although I’m not old enough to remember either, growing up I can remember asking myself: “Why would I want to eat daisies?”

The culinary use of flowers dates back thousands of years to the Chinese, Greeks and Romans. And, recently, there has been a resurgence of interest in edible flowers and “non-vegetable” vegetables.

As you continue to plan and plant your flower and vegetable gardens, you may wish to include some of these plants to spruce up a salad or lend a new flavor to a meal:

Most gardeners are familiar with the commonly consumed portions of vegetables. Each part considered edible is unique to the specific plant or group of plants. However, there are a whole host of plant parts that are, in fact, edible and rather nutritious. For example, snap beans are well known for their pods and seeds. Did you know that the leaves are edible as well?

Likewise, we traditionally eat beets, a modified stem portion of the plant. Here again, the leaves can be consumed in salads or as a garnish. Other plants whose leaves are edible include broccoli, carrots, cauliflower, kohlrabi, okra, onions, English peas, sweet potatoes and radishes. The stem tips of both cucumber and sweet potatoes are edible.

Who doesn’t enjoy a juicy slice of cold watermelon on a hot Fourth of July? Don’t stop with eating just the interior pulp; the rind of the fruit is edible, too. Finally, if you’re still hungry, the blooms of squash have long been considered a delicacy in fancy restaurants. Their unique yellow-orange color and sweet flavor add a touch of sunlight to an otherwise dull green salad.

Vegetables are not the only plants that produce edible parts. There are a wide variety of flowers, both ornamental and herbs, that are full of flavor and easy to grow. Specifically, herbs provide us with many exciting possibilities because not only are the leaves, stems and seeds edible, but the blossoms are as well.

Try adding the flowers of these to your next meal: oregano, sage, thyme, savory, marjoram and basil. The essential flavor-making oils found in the stems, leaves and seeds are also found in the blooms. For an added zing to a salad, include the flowers of onions, chives or garlic. The sweet, fragrant and flavorful blossoms not only will add flavor, they also will add texture and color, making the display more unique and fun.

Other flowers not traditionally considered a regular on the menu but are, indeed, edible are rose petals, pansies, chrysanthemums, daylilies, nasturtium and fuchsia.

The trick to cooking with or adding flowers and “non-vegetable” vegetables to a meal is proper selection, handling and preparation. Here are a few tips to get you started:

¢ Eat flowers only when you are positive they are edible. If uncertain, consult a reliable reference book.

¢ Only consume plant parts that either have not been sprayed with pesticides or have been sprayed with pesticides that are labeled for food crops.

¢ Remove the pistils and stamens from flowers. The pollen they produce can detract from the flavor and may cause an allergic reaction in susceptible individuals.

¢ Pick and use fully open flowers.

¢ Wash them with cold water to remove dirt and bugs and store them in a cool place until you are ready to use them.

¢ Sample a flower or two for flavor and desirability before adding them to the mix.

• Next to the text, the page also holds records of crystals:
=====
# TaZn2FeO6 (PBE+U, relaxed)
data_TaZn2FeO6
_chemical_formula_sum 'Ta2 Zn4 Fe2 O12'
_cell_length_a 7.7034
_cell_length_b 5.2593
_cell_length_c 5.3423
_cell_angle_alpha 89.13
_cell_angle_beta 90.00
_cell_angle_gamma 90.00
_space_group_name_H-M_alt 'P 1'
_space_group_IT_number 1
loop_
_space_group_symop_operation_xyz
'x,y,z'
loop_
_atom_site_label
_atom_site_fract_x
_atom_site_fract_y
_atom_site_fract_z
_atom_site_occupancy
Ta1 0.0000 0.0000 0.5000 1
Ta2 0.5000 0.0000 0.5000 1
Zn1 0.2500 0.9842 0.9858 1
Zn2 0.2500 0.4967 0.4545 1
Zn3 0.7500 0.5033 0.5455 1
Zn4 0.7500 0.0158 0.0142 1
Fe1 0.0000 0.5000 0.0000 1
Fe2 0.5000 0.5000 0.0000 1
O1 0.5632 0.8319 0.8202 1
O2 0.4353 0.3192 0.6731 1
O3 0.4368 0.1681 0.1798 1
O4 0.9353 0.6808 0.3269 1
O5 0.7500 0.1211 0.4377 1
O6 0.5647 0.6808 0.3269 1
O7 0.0647 0.3192 0.6731 1
O8 0.9368 0.8319 0.8202 1
O9 0.2500 0.6147 0.0788 1
O10 0.0632 0.1681 0.1798 1
O11 0.7500 0.3853 0.9212 1
O12 0.2500 0.8789 0.5623 1
# DOS(E_F) (states/eV per atom): 0.000
# Total DFT energy (no corrections) (Ry per atom): -0.5021

* * * * *

# 1
# CdIn3HgBi, relaxed, DFT PBE-GGA
data_CdIn3HgBi
_cell_length_a 8.717
_cell_length_b 4.507
_cell_length_c 9.677
_cell_angle_alpha 90.00
_cell_angle_beta 116.37
_cell_angle_gamma 90.00
_space_group_name_H-M_alt 'P 1 21/m 1'
_space_group_IT_number 11
loop_
_space_group_symop_operation_xyz
'x,y,z'
'-x,-y,-z'
'-x,y+1/2,-z'
'x,-y+1/2,z'
loop_
_atom_site_label
_atom_site_type_symbol
_atom_site_fract_x
_atom_site_fract_y
_atom_site_fract_z
Cd1 Cd 0.055 0.250 0.432
In1 In 0.238 0.250 0.176
In2 In 0.300 0.750 0.888
In3 In 0.336 0.750 0.471
Hg1 Hg 0.027 0.250 0.829
Bi1 Bi 0.452 0.250 0.749
# ΔH_f (0 K)	0.2	eV/f.u.
# spin magnetization	0.000	Bohr magnetons per cell

***

# 2
# Cd2HgBiIr, relaxed, DFT PBE-GGA
data_Cd2HgBiIr
_cell_length_a 5.356
_cell_length_b 5.356
_cell_length_c 5.076
_cell_angle_alpha 90.00
_cell_angle_beta 90.00
_cell_angle_gamma 90.00
_space_group_name_H-M_alt 'P 4/m m m'
_space_group_IT_number 123
_space_group_name_Hall '-P 4 2'
loop_
_atom_site_label
_atom_site_type_symbol
_atom_site_fract_x
_atom_site_fract_y
_atom_site_fract_z
Cd1 Cd 0.000 0.500 0.000
Hg1 Hg 0.000 0.000 0.500
Bi1 Bi 0.500 0.500 0.500
Ir1 Ir 0.500 0.500 0.000
# ΔH_f (0 K)	0.7	eV/f.u.
# spin magnetization	0.000	Bohr magnetons per cell
=====

¢ Finally, introduce these parts into your diet a little at a time. Too much of a good thing can be hard on the digestive system.